Activity >
Print the contents below with every line break kept.

Excerpt >
'''
DFT (GGA-PBE) results for crystalline Zn2Pt at its relaxed geometry.

Lattice parameters (Å, degrees): 4.3940 4.3940 5.3420 90.00 90.00 120.01
Sites, in units of the cell vectors:
Zn 0.0000 0.0000 0.5000
Zn 0.6666 0.3334 0.7500
Zn 0.3334 0.6666 0.2500
Zn 0.0000 0.0000 0.0000
Pt 0.6667 0.3333 0.2500
Pt 0.3333 0.6667 0.7500

* space-group type: P6_3/mmc (194)
* uncorrected energy: -3.24 eV/atom
* total magnetic moment: 0.0 Bohr magnetons per cell
* energy of formation: -0.376 eV/atom

DFT (GGA-PBE) results for crystalline ZnPt at its relaxed geometry.

Lattice parameters (Å, degrees): 7.5948 7.5948 2.7413 90.00 90.00 117.00
Sites, in units of the cell vectors:
Zn 0.1929 0.8071 0.5000
Zn 0.5189 0.0984 0.0000
Zn 0.5498 0.4502 0.0000
Zn 0.9016 0.4811 0.0000
Pt 0.7067 0.9516 0.5000
Pt 0.0306 0.9694 0.0000
Pt 0.3846 0.6154 0.5000
Pt 0.0484 0.2933 0.5000

* space-group type: Amm2 (38)
* uncorrected energy: -3.67 eV/atom
* total magnetic moment: 0.0 Bohr magnetons per cell
* energy of formation: -0.007 eV/atom

DFT (GGA-PBE) results for crystalline ZnPt15 at its relaxed geometry.

Lattice parameters (Å, degrees): 4.8222 36.7380 4.8234 90.00 109.98 90.00
Sites, in units of the cell vectors:
Pt 0.0000 0.4420 0.0000
Pt 0.0000 0.2447 0.5000
Pt 0.5000 0.6747 0.5000
Pt 0.5000 0.2868 0.5000
Pt 0.0000 0.7136 0.5000
Pt 0.0000 0.3646 0.0000
Pt 0.5000 0.4417 0.5000
Pt 0.0000 0.5968 0.0000
Pt 0.5000 0.6360 0.0000
Pt 0.0000 0.6355 0.5000
Pt 0.0000 0.7553 0.0000
Pt 0.5000 0.5583 0.0000
Pt 0.0000 0.6747 0.0000
Pt 0.5000 0.3253 0.0000
Pt 0.5000 0.5968 0.5000
Pt 0.5000 0.4032 0.0000
Pt 0.5000 0.7132 0.0000
Pt 0.5000 0.7553 0.5000
Pt 0.0000 0.2864 0.0000
Pt 0.5000 0.3640 0.5000
Pt 0.0000 0.4807 0.5000
Pt 0.5000 0.5193 0.5000
Pt 0.5000 0.2125 0.5000
Pt 0.0000 0.5580 0.5000
Pt 0.5000 0.7874 0.0000
Pt 0.0000 0.4032 0.5000
Pt 0.5000 0.4807 0.0000
Pt 0.5000 0.2447 0.0000
Pt 0.0000 0.3253 0.5000
Pt 0.0000 0.5193 0.0000
Zn 0.0000 0.2122 0.0000
Zn 0.0000 0.7878 0.5000

* space-group type: P2/c (13)
* uncorrected energy: -5.70 eV/atom
* total magnetic moment: 0.0 Bohr magnetons per cell
* energy of formation: 0.056 eV/atom

DFT (GGA-PBE) results for crystalline ZnPt15 at its relaxed geometry.

Lattice parameters (Å, degrees): 3.9393 3.9369 45.5193 90.00 90.00 90.00
Sites, in units of the cell vectors:
Pt 0.2500 0.5000 0.3011
Pt 0.2500 0.5000 0.7437
Pt 0.7500 0.0000 0.7426
Pt 0.2500 0.0000 0.6989
Pt 0.2500 0.5000 0.6545
Pt 0.7500 0.0000 0.5662
Pt 0.7500 0.5000 0.2563
Pt 0.2500 0.0000 0.2574
Pt 0.7500 0.0000 0.3895
Pt 0.7500 0.0000 0.3011
Pt 0.2500 0.0000 0.5220
Pt 0.2500 0.5000 0.3896
Pt 0.7500 0.5000 0.6104
Pt 0.7500 0.5000 0.3455
Pt 0.7500 0.0000 0.4780
Pt 0.7500 0.5000 0.1702
Pt 0.7500 0.0000 0.2122
Pt 0.2500 0.0000 0.6105
Pt 0.2500 0.5000 0.8298
Pt 0.7500 0.5000 0.7877
Pt 0.7500 0.5000 0.6989
Pt 0.2500 0.5000 0.2123
Pt 0.7500 0.0000 0.6548
Pt 0.2500 0.0000 0.3452
Pt 0.2500 0.5000 0.5663
Pt 0.2500 0.0000 0.4338
Pt 0.7500 0.5000 0.4337
Pt 0.7500 0.5000 0.5221
Pt 0.2500 0.0000 0.7878
Pt 0.2500 0.5000 0.4779
Zn 0.2500 0.0000 0.1690
Zn 0.7500 0.0000 0.8310

* space-group type: Pmma (51)
* uncorrected energy: -5.73 eV/atom
* total magnetic moment: 0.0 Bohr magnetons per cell
* energy of formation: 0.026 eV/atom

DFT (GGA-PBE) results for crystalline ZnPt at its relaxed geometry.

Lattice parameters (Å, degrees): 7.2488 5.6730 4.4246 90.00 90.00 101.20
Sites, in units of the cell vectors:
Pt 0.5728 0.8946 0.5000
Pt 0.9269 0.2030 0.5000
Pt 0.9620 0.5192 0.0000
Pt 0.5765 0.3917 0.5000
Pt 0.3123 0.3305 0.0000
Pt 0.3161 0.8277 0.0000
Zn 0.6515 0.1630 0.0000
Zn 0.8887 0.7221 0.5000
Zn 0.2375 0.5594 0.5000
Zn 0.0002 0.0000 0.0000
Zn 0.6345 0.6577 0.0000
Zn 0.2543 0.0645 0.5000

* space-group type: P2_1/m (11)
* uncorrected energy: -4.10 eV/atom
* total magnetic moment: 0.0 Bohr magnetons per cell
* energy of formation: -0.443 eV/atom

DFT (GGA-PBE) results for crystalline ZnPt at its relaxed geometry.
'''

Completed >
DFT (GGA-PBE) results for crystalline Zn2Pt at its relaxed geometry.

Lattice parameters (Å, degrees): 4.3940 4.3940 5.3420 90.00 90.00 120.01
Sites, in units of the cell vectors:
Zn 0.0000 0.0000 0.5000
Zn 0.6666 0.3334 0.7500
Zn 0.3334 0.6666 0.2500
Zn 0.0000 0.0000 0.0000
Pt 0.6667 0.3333 0.2500
Pt 0.3333 0.6667 0.7500

* space-group type: P6_3/mmc (194)
* uncorrected energy: -3.24 eV/atom
* total magnetic moment: 0.0 Bohr magnetons per cell
* energy of formation: -0.376 eV/atom

DFT (GGA-PBE) results for crystalline ZnPt at its relaxed geometry.

Lattice parameters (Å, degrees): 7.5948 7.5948 2.7413 90.00 90.00 117.00
Sites, in units of the cell vectors:
Zn 0.1929 0.8071 0.5000
Zn 0.5189 0.0984 0.0000
Zn 0.5498 0.4502 0.0000
Zn 0.9016 0.4811 0.0000
Pt 0.7067 0.9516 0.5000
Pt 0.0306 0.9694 0.0000
Pt 0.3846 0.6154 0.5000
Pt 0.0484 0.2933 0.5000

* space-group type: Amm2 (38)
* uncorrected energy: -3.67 eV/atom
* total magnetic moment: 0.0 Bohr magnetons per cell
* energy of formation: -0.007 eV/atom

DFT (GGA-PBE) results for crystalline ZnPt15 at its relaxed geometry.

Lattice parameters (Å, degrees): 4.8222 36.7380 4.8234 90.00 109.98 90.00
Sites, in units of the cell vectors:
Pt 0.0000 0.4420 0.0000
Pt 0.0000 0.2447 0.5000
Pt 0.5000 0.6747 0.5000
Pt 0.5000 0.2868 0.5000
Pt 0.0000 0.7136 0.5000
Pt 0.0000 0.3646 0.0000
Pt 0.5000 0.4417 0.5000
Pt 0.0000 0.5968 0.0000
Pt 0.5000 0.6360 0.0000
Pt 0.0000 0.6355 0.5000
Pt 0.0000 0.7553 0.0000
Pt 0.5000 0.5583 0.0000
Pt 0.0000 0.6747 0.0000
Pt 0.5000 0.3253 0.0000
Pt 0.5000 0.5968 0.5000
Pt 0.5000 0.4032 0.0000
Pt 0.5000 0.7132 0.0000
Pt 0.5000 0.7553 0.5000
Pt 0.0000 0.2864 0.0000
Pt 0.5000 0.3640 0.5000
Pt 0.0000 0.4807 0.5000
Pt 0.5000 0.5193 0.5000
Pt 0.5000 0.2125 0.5000
Pt 0.0000 0.5580 0.5000
Pt 0.5000 0.7874 0.0000
Pt 0.0000 0.4032 0.5000
Pt 0.5000 0.4807 0.0000
Pt 0.5000 0.2447 0.0000
Pt 0.0000 0.3253 0.5000
Pt 0.0000 0.5193 0.0000
Zn 0.0000 0.2122 0.0000
Zn 0.0000 0.7878 0.5000

* space-group type: P2/c (13)
* uncorrected energy: -5.70 eV/atom
* total magnetic moment: 0.0 Bohr magnetons per cell
* energy of formation: 0.056 eV/atom

DFT (GGA-PBE) results for crystalline ZnPt15 at its relaxed geometry.

Lattice parameters (Å, degrees): 3.9393 3.9369 45.5193 90.00 90.00 90.00
Sites, in units of the cell vectors:
Pt 0.2500 0.5000 0.3011
Pt 0.2500 0.5000 0.7437
Pt 0.7500 0.0000 0.7426
Pt 0.2500 0.0000 0.6989
Pt 0.2500 0.5000 0.6545
Pt 0.7500 0.0000 0.5662
Pt 0.7500 0.5000 0.2563
Pt 0.2500 0.0000 0.2574
Pt 0.7500 0.0000 0.3895
Pt 0.7500 0.0000 0.3011
Pt 0.2500 0.0000 0.5220
Pt 0.2500 0.5000 0.3896
Pt 0.7500 0.5000 0.6104
Pt 0.7500 0.5000 0.3455
Pt 0.7500 0.0000 0.4780
Pt 0.7500 0.5000 0.1702
Pt 0.7500 0.0000 0.2122
Pt 0.2500 0.0000 0.6105
Pt 0.2500 0.5000 0.8298
Pt 0.7500 0.5000 0.7877
Pt 0.7500 0.5000 0.6989
Pt 0.2500 0.5000 0.2123
Pt 0.7500 0.0000 0.6548
Pt 0.2500 0.0000 0.3452
Pt 0.2500 0.5000 0.5663
Pt 0.2500 0.0000 0.4338
Pt 0.7500 0.5000 0.4337
Pt 0.7500 0.5000 0.5221
Pt 0.2500 0.0000 0.7878
Pt 0.2500 0.5000 0.4779
Zn 0.2500 0.0000 0.1690
Zn 0.7500 0.0000 0.8310

* space-group type: Pmma (51)
* uncorrected energy: -5.73 eV/atom
* total magnetic moment: 0.0 Bohr magnetons per cell
* energy of formation: 0.026 eV/atom

DFT (GGA-PBE) results for crystalline ZnPt at its relaxed geometry.

Lattice parameters (Å, degrees): 7.2488 5.6730 4.4246 90.00 90.00 101.20
Sites, in units of the cell vectors:
Pt 0.5728 0.8946 0.5000
Pt 0.9269 0.2030 0.5000
Pt 0.9620 0.5192 0.0000
Pt 0.5765 0.3917 0.5000
Pt 0.3123 0.3305 0.0000
Pt 0.3161 0.8277 0.0000
Zn 0.6515 0.1630 0.0000
Zn 0.8887 0.7221 0.5000
Zn 0.2375 0.5594 0.5000
Zn 0.0002 0.0000 0.0000
Zn 0.6345 0.6577 0.0000
Zn 0.2543 0.0645 0.5000

* space-group type: P2_1/m (11)
* uncorrected energy: -4.10 eV/atom
* total magnetic moment: 0.0 Bohr magnetons per cell
* energy of formation: -0.443 eV/atom

DFT (GGA-PBE) results for crystalline ZnPt at its relaxed geometry.